The death of a child is often a situation so heartbreaking that it has been known for many parents of deceased children to commit suicide – often as part of a joint pact. Nothing can prepare you for the loss if your experience of death so far has been that of a friend or family member whose natural time had come.

There is a Buddhist expression that a good life is one where you die before your son and that he dies before his son. It’s the natural progression of life, and when we see it disrupted – the hopes and dreams of what was to be the life of a child becoming an adult and raising their own children, the disruption can cause untold grief.

The grief can be hardest to bear by those parents who have an especially spiritual outlook on life – calling into question the presence of the god they looked to for safety and protection. Such a dilemma of faith can call into question a host of other former staunch beliefs such as the existence of an afterlife.

It’s all too easy to cast blame on one another for situations that may have led to the death of the child, and the usual behavior of isolation from the situation can cause a rift between parents who might have expected someone they could count on to help share their grief, only to be confronted with someone who seems like a stranger.

The way through this kind of grief is fraught with possible ill feeling against others, and yourself. You need to let go of any unnecessary guilt. Emotions will be much more intense than you will have otherwise experienced, and that causes a huge drain. It’s vital that you maintain as much of a sleep pattern as possible.

**Unrelated to this piece: materials data**
┌──
Starting from a crystal structure in Alexandria, relaxed with PBE, the X-ray diffraction stick pattern of Mg2SnO was calculated for Cu Kα, 1.54184 Å.

Cell and atoms:
```
Mg2SnO
1.0
1.633 0.943 7.130
-1.633 0.943 7.130
0.000 -1.886 7.130
Mg Sn O
2 1 1
direct
0.223 0.223 0.223
0.777 0.777 0.777
0.000 0.000 0.000
0.500 0.500 0.500
```

Principal peaks in the range 2θ = 15–90°, in order of rising 2θ:
- 2θ = 25.0°, I = 34
- 2θ = 31.9°, I = 55
- 2θ = 32.7°, I = 33
- 2θ = 35.9°, I = 100
- 2θ = 37.9°, I = 22
- 2θ = 38.1°, I = 56
- 2θ = 46.7°, I = 33
- 2θ = 56.3°, I = 30
- 2θ = 69.9°, I = 24
- 2θ = 70.0°, I = 24

=====

Starting from a crystal structure in Alexandria, relaxed with PBE, the X-ray diffraction stick pattern of Tb2Ho5In was calculated for Cu Kα, 1.54184 Å.

Cell and atoms:
```
Tb2Ho5In
1.0
4.305 -10.161 0.000
4.305 10.161 0.000
-2.296 0.000 5.583
Tb Ho In
4 10 2
direct
0.054 0.946 0.500
0.176 0.738 0.508
0.738 0.176 0.008
0.946 0.054 0.000
0.001 0.258 0.569
0.217 0.496 0.188
0.258 0.001 0.069
0.456 0.711 0.809
0.496 0.217 0.688
0.536 0.972 0.373
0.658 0.765 0.376
0.711 0.456 0.309
0.765 0.658 0.876
0.972 0.536 0.873
0.356 0.356 0.438
0.356 0.356 0.938
```

Principal peaks in the range 2θ = 15–90°, in order of rising 2θ:
- 2θ = 29.9°, I = 34
- 2θ = 31.7°, I = 100
- 2θ = 32.5°, I = 22
- 2θ = 32.8°, I = 41
- 2θ = 33.4°, I = 42
- 2θ = 34.1°, I = 17
- 2θ = 34.5°, I = 46
- 2θ = 36.1°, I = 21
- 2θ = 56.4°, I = 14
- 2θ = 58.6°, I = 18

=====

Starting from a crystal structure in Alexandria, relaxed with PBE, the X-ray diffraction stick pattern of Hf2Be16Si was calculated for Cu Kα, 1.54184 Å.

Cell and atoms:
```
Hf2Be16Si
1.0
3.767 2.175 3.672
-3.767 2.175 3.672
0.000 -4.350 3.672
Hf Be Si
2 16 1
direct
0.000 0.000 0.000
0.320 0.320 0.320
0.003 0.003 0.499
0.003 0.499 0.003
0.154 0.664 0.664
0.314 0.314 0.826
0.314 0.826 0.314
0.365 0.662 0.957
0.365 0.957 0.662
0.499 0.003 0.003
0.662 0.365 0.957
0.662 0.957 0.365
0.664 0.154 0.664
0.664 0.664 0.154
0.762 0.762 0.762
0.826 0.314 0.314
0.957 0.365 0.662
0.957 0.662 0.365
0.563 0.563 0.563
```

Principal peaks in the range 2θ = 15–90°, in order of rising 2θ:
- 2θ = 15.8°, I = 48
- 2θ = 21.1°, I = 19
- 2θ = 23.6°, I = 100
- 2θ = 24.2°, I = 26
- 2θ = 34.1°, I = 76
- 2θ = 41.5°, I = 30
- 2θ = 48.3°, I = 22
- 2θ = 48.7°, I = 36
- 2θ = 49.6°, I = 21
- 2θ = 71.0°, I = 25

~~~~~

# 1
This entry pairs a crystal structure of TbCe2NpS5 with its calculated powder XRD pattern. Radiation: a wavelength of 1.5418 Å. Structure: a DFT-relaxed cell (GGA-PBE, Alexandria).

Peak list (10 most intense, 5 to 70 degrees two-theta, in order of falling intensity)
Position (°2θ), I (rel.)
24.8, 100.0
25.6, 92.9
36.5, 69.8
44.7, 44.2
43.2, 25.0
50.9, 23.2
59.4, 19.3
34.2, 17.8
52.6, 16.8
39.0, 12.2

```
data_TbCe2NpS5
_chemical_formula_sum 'Tb1 Ce2 Np1 S5'
_symmetry_space_group_name_H-M 'P 1'
_symmetry_Int_Tables_number 1
_cell_length_a 4.922
_cell_length_b 4.922
_cell_length_c 10.473
_cell_angle_alpha 90.00
└──

Avoid downers. Cigarettes, drugs, alcohol; all crutches that you may be tempted to lean on but all come with a downside that will increase your lethargy and depression. Without being able to think clearly, you will never escape the grief that surrounds you.

Remember that it’s okay to smile or laugh. You are not disrespecting your child. At some point in your life, you may have experienced your child asking you why you were unhappy or upset. If you recall the concern on their faces you might get a glimpse of how they might feel about your permanent unhappiness.

Your recovery from grief is important so that you can do something good in the wake of your child’s death – such as work to bring attention to the plight of other children suffering the same disease, changing legislation about a product that may have caused their death or bringing about changes in road safety. The focus of your work will depend on the circumstances of your child’s death, but doing anything to prevent the situation happening to other children will act as a catharsis for your own pain.